For the past 2 years, I’ve been leading a team of 4 engineers: 3 developers (including myself) and 1 QA. This is the first time I’ve managed a software team, after writing software full-time for 6 years. Here are some things I’ve learned during that time.

Get to know everyone, and take note of what should change and why (if anything)

Looking back, there was one thing I should have done but didn’t do: hear the team members’ thoughts about the leadership changes. I just naturally understood what they expected of me and what things did and didn’t work under the previous leader. If I had to do it all again, I would have immediately sat down with each team member individually to hear their thoughts about:

  • What were some things they would like to see changed?
  • What things were working well enough that shouldn’t change, and maybe just tweaked/improved?
  • What do they personally expect from a new team leader?
  • Is there anything I could do to improve their day-to-day work?

Had I done this, it would have saved me a couple of months of time of figuring out all of this by myself in a natural way. Of course, I had a couple of meetings with the previous leader and we discussed some things that should change about the team’s processes. That input was also valuable! If you are taking over a small team and you have the opportunity to talk with the previous leader, please do! If they have been on the project long enough, they have a lot of context and insights that can be invaluable to you.

Don’t change everything at once

The first two weeks on the project were spent side by side with the previous team leader, where I tried to learn everything about the project, its processes, tools and systems, and, most importantly, the client. After those two weeks, I already had an idea of some things I wanted to improve and/or change, but I made a point not to start doing everything at once. Every couple of weeks, I would talk to the team and show them what I was intending to change and hear their thoughts: what do they think about it? Would it be a hindrance to them? Do we need it?

== The article is interrupted by materials data ==
┌──
# 1
Ac2Pr4Sm3 after structural relaxation. Source: Alexandria via LeMat-Bulk, functional PBE-GGA.

Unit cell a=3.7593 b=3.7593 c=27.8719 alpha=90.00 beta=90.00 gamma=120.00
With the nearest neighbours (Å) after each atom.
Positions (direct):
Sm (0.6667, 0.3333, 0.6495)  6 Pr 3.65-3.69, 6 Sm 3.76
Sm (0.0000, 0.0000, 0.3269)  6 Pr 3.59-3.71, 6 Sm 3.76
Sm (0.0000, 0.0000, 0.9826)  6 Ac 3.74-3.82, 6 Sm 3.76
Pr (0.0000, 0.0000, 0.7548)  3 Sm 3.65, 6 Pr 3.76, 3 Ac 3.87
Pr (0.6667, 0.3333, 0.2241)  3 Sm 3.59, 1 Ac 3.68, 6 Pr 3.76
Pr (0.6667, 0.3333, 0.4348)  9 Pr 3.71-3.76, 3 Sm 3.71
Pr (0.0000, 0.0000, 0.5426)  3 Sm 3.69, 9 Pr 3.71-3.76
Ac (0.6667, 0.3333, 0.8700)  6 Ac 3.76, 3 Sm 3.82, 3 Pr 3.87
Ac (0.6667, 0.3333, 0.0919)  1 Pr 3.68, 3 Sm 3.74, 6 Ac 3.76

Computed properties:
magnetization: 0.00 Bohr magnetons per cell
final energy: -0.333 Ry per atom



# 2
NdCuRh2 after structural relaxation. Source: Alexandria via LeMat-Bulk, functional PBE-GGA.

Unit cell a=4.6150 b=4.6150 c=4.6140 alpha=59.99 beta=59.99 gamma=60.00
With the nearest neighbours (Å) after each atom.
Positions (direct):
Rh (0.7499, 0.7499, 0.7504)  4 Cu 2.82-2.83, 4 Nd 2.83
Rh (0.2501, 0.2501, 0.2496)  4 Cu 2.82-2.83, 4 Nd 2.83
Cu (0.5000, 0.5000, 0.5000)  8 Rh 2.82-2.83
Nd (0.0000, 0.0000, 0.0000)  8 Rh 2.83

Computed properties:
magnetization: 0.00 Bohr magnetons per cell
final energy: -0.451 Ry per atom



# 3
BaAs after structural relaxation. Source: Alexandria via LeMat-Bulk, functional PBE-GGA.

Unit cell a=9.0931 b=9.0931 c=9.0931 alpha=90.00 beta=90.00 gamma=90.00
With the nearest neighbours (Å) after each atom.
Positions (direct):
Ba (0.5000, 0.0000, 0.2500)  4 As 3.21
Ba (0.5000, 0.0000, 0.7500)  4 As 3.21
Ba (0.7500, 0.5000, 0.0000)  4 As 3.21
Ba (0.0000, 0.7500, 0.5000)  4 As 3.21
Ba (0.2500, 0.5000, 0.0000)  4 As 3.21
Ba (0.0000, 0.2500, 0.5000)  4 As 3.21
As (0.5000, 0.2500, 0.0000)  4 Ba 3.21
As (0.7500, 0.0000, 0.5000)  4 Ba 3.21
As (0.5000, 0.7500, 0.0000)  4 Ba 3.21
As (0.2500, 0.0000, 0.5000)  4 Ba 3.21
As (0.0000, 0.5000, 0.2500)  4 Ba 3.21
As (0.0000, 0.5000, 0.7500)  4 Ba 3.21

Computed properties:
magnetization: 6.09 Bohr magnetons per cell
final energy: -0.270 Ry per atom



# 4
Hg2OsRh after structural relaxation. Source: Alexandria via LeMat-Bulk, functional PBE-GGA.

Unit cell a=2.8865 b=2.8865 c=8.6271 alpha=90.00 beta=90.00 gamma=90.00
With the nearest neighbours (Å) after each atom.
Positions (direct):
Os (0.0000, 0.0000, 0.5314)  4 Rh 2.61, 4 Os 2.89
Hg (0.0000, 0.0000, 0.9707)  4 Hg 2.89, 4 Rh 2.97
Hg (0.5000, 0.5000, 0.2776)  4 Hg 2.89, 4 Os 2.99
Rh (0.5000, 0.5000, 0.7203)  4 Os 2.61, 4 Rh 2.89

Computed properties:
magnetization: 0.00 Bohr magnetons per cell
final energy: -0.325 Ry per atom



# 5
ErLu3Co after structural relaxation. Source: Alexandria via LeMat-Bulk, functional PBE-GGA.

Unit cell a=5.1507 b=5.1507 c=5.1507 alpha=90.00 beta=90.00 gamma=90.00
With the nearest neighbours (Å) after each atom.
Positions (direct):
└──
== The article goes on ==

The nice thing about leading a small team is that it is very easy to gather input from everyone in a more detailed manner. There’s time to hear everyone and to consider every opinion. After presenting the ideas and hearing the feedback, I considered whether or not to go through with the changes.

Between two parts of the article: calculated crystals =
'''
# 1
The following is a DFT calculation (GGA-PBE) of a relaxed ZrPt4Cl crystal.

Unit cell a=5.330 b=5.330 c=5.330 alpha=60.00 beta=60.00 gamma=60.00
Sites, in units of the cell vectors:
Zr  0.750  0.750  0.750
Pt  0.874  0.375  0.375
Pt  0.375  0.375  0.874
Pt  0.375  0.874  0.375
Pt  0.375  0.375  0.375
Cl  0.000  0.000  0.000

Results
For the magnetization, the calculation gives 0.00 μB per cell. As for the density of states at the Fermi level: 0.243 states/eV/atom.

# 2
The following is a DFT calculation (GGA-PBE) of a relaxed ZrPtCl crystal.

Unit cell a=3.609 b=3.359 c=11.428 alpha=90.00 beta=90.16 gamma=90.00
Sites, in units of the cell vectors:
Pt  0.749  0.250  0.927
Pt  0.251  0.750  0.073
Zr  0.752  0.250  0.184
Zr  0.248  0.750  0.816
Cl  0.247  0.250  0.644
Cl  0.753  0.750  0.356

Results
For the magnetization, the calculation gives 0.00 μB per cell. As for the density of states at the Fermi level: 0.615 states/eV/atom. The value obtained for the distance to the lowest polymorph of the same formula is 0.0 kJ per mole of atoms.

# 3
The following is a DFT calculation (GGA-PBE) of a relaxed ZrPtCl crystal.

Unit cell a=3.270 b=4.495 c=10.180 alpha=90.00 beta=98.67 gamma=90.00
Sites, in units of the cell vectors:
Zr  0.428  0.250  0.847
Zr  0.572  0.750  0.153
Pt  0.038  0.250  0.082
Pt  0.962  0.750  0.918
Cl  0.835  0.250  0.649
Cl  0.165  0.750  0.351

Results
For the magnetization, the calculation gives 0.00 μB per cell. As for the density of states at the Fermi level: 0.511 states/eV/atom. The value obtained for the distance to the lowest polymorph of the same formula is 7.0 kJ per mole of atoms.

# 4
The following is a DFT calculation (GGA-PBE) of a relaxed ZrPtCl crystal.

Unit cell a=7.101 b=7.101 c=3.121 alpha=77.31 beta=77.30 gamma=25.39
Sites, in units of the cell vectors:
Cl  0.959  0.959  0.041
Pt  0.708  0.708  0.292
Zr  0.334  0.334  0.666

Results
For the magnetization, the calculation gives 0.00 μB per cell. As for the density of states at the Fermi level: 0.632 states/eV/atom. The value obtained for the distance to the lowest polymorph of the same formula is 37.4 kJ per mole of atoms.

# 5
The following is a DFT calculation (GGA-PBE) of a relaxed ZrPtCl crystal.

Unit cell a=10.889 b=3.495 c=9.061 alpha=90.00 beta=113.87 gamma=90.00
Sites, in units of the cell vectors:
Zr  0.157  0.000  0.005
Zr  0.843  0.000  0.995
Zr  0.157  0.500  0.505
Zr  0.843  0.500  0.495
Pt  0.051  0.000  0.667
Pt  0.949  0.000  0.333
Pt  0.051  0.500  0.167
Pt  0.949  0.500  0.833
Cl  0.347  0.000  0.563
Cl  0.653  0.000  0.437
Cl  0.347  0.500  0.063
Cl  0.653  0.500  0.937

Results
For the magnetization, the calculation gives 0.00 μB per cell. As for the density of states at the Fermi level: 0.328 states/eV/atom. The value obtained for the distance to the lowest polymorph of the same formula is 3.9 kJ per mole of atoms.

# 6
The following is a DFT calculation (GGA-PBE) of a relaxed PuCl3 crystal.
'''

And so, week after week, one small tweak after the other, I introduced the changes without disrupting too much of everyone’s work. I had the time to assess whether or not the changes were effective and could roll back if needed.

Agile is not always the answer

When I talked with the previous team leader, one of the very first things I was told was that “the team needs some form of sprint system”. I was happy to hear this, because up to this point, all the projects I had worked on followed the same process, so I was confident I could implement it without too much effort.

The previous system the team was following was something very close to a Kanban system. There was a Trello board with backlog tasks, ongoing tasks, tasks on review, and tasks being tested. In the beginning, I tried to implement a sprint system with Trello, but that didn’t work very well, so we migrated to Jira, which we’re still using today.

However, looking back, I don’t think we needed agile or sprints. The project is not big enough (in scope and size) to justify a system like that. But most of all, agile doesn’t fit in the context of this particular project, because the client changes priorities very frequently. As in, weekly, and sometimes daily. So sprint planning goes out the window every week when new requirements and priorities are discussed. We still use sprints today, but they are nowhere close to the definition of a sprint in a truly agile system. It’s something I need to change eventually, but haven’t gotten around to doing it.

Documentation is everything

Before I joined, there was little documentation on anything at all. Tasks that were run in production were kept in one of the team members’ notes. Requirements were stored in Slack messages. Conventions, like git commit messages, pull request descriptions, and merging strategies were verbally agreed upon. Code documentation was non existent.

Data records, kept here for reference:
First-principles (meta-GGA SCAN) data for a PBEsol-optimized structure of HgMo2P, as listed in the Alexandria database.

CIF file:
```
data_HgMo2P
_symmetry_space_group_name_H-M 'A m m 2'
_symmetry_Int_Tables_number 38
_cell_length_a 4.420
_cell_length_b 2.974
_cell_length_c 10.079
_cell_angle_alpha 90.00
_cell_angle_beta 90.00
_cell_angle_gamma 90.00
loop_
_symmetry_equiv_pos_as_xyz
'x,y,z'
'-x,-y,z'
'-x,y,z'
'x,-y,z'
'x,y+1/2,z+1/2'
'-x,-y+1/2,z+1/2'
'-x,y+1/2,z+1/2'
'x,-y+1/2,z+1/2'
loop_
_atom_site_label
_atom_site_fract_x
_atom_site_fract_y
_atom_site_fract_z
Hg1 0.000 0.000 0.000
Mo1 0.000 0.000 0.736
Mo2 0.500 0.000 0.352
P1 0.500 0.000 0.662
```

Properties
* final energy: -2.7067 Ry per atom
* magnetic moment: 0.00 μB per formula unit
* distance to the lowest polymorph of the same formula: 138 meV/atom

***

First-principles (meta-GGA SCAN) data for a PBEsol-optimized structure of HgMo2P, as listed in the Alexandria database.

CIF file:
```
data_HgMo2P
_symmetry_space_group_name_H-M 'P 4/m m m'
_symmetry_Int_Tables_number 123
_symmetry_space_group_name_Hall '-P 4 2'
_cell_length_a 4.468
_cell_length_b 4.468
_cell_length_c 3.056
_cell_angle_alpha 90.00
_cell_angle_beta 90.00
_cell_angle_gamma 90.00
loop_
_atom_site_label
_atom_site_fract_x
_atom_site_fract_y
_atom_site_fract_z
Hg1 0.000 0.000 0.000
Mo1 0.000 0.500 0.500
P1 0.500 0.500 0.000
```

Properties
* final energy: -2.6880 Ry per atom
* magnetic moment: 0.00 μB per formula unit
* distance to the lowest polymorph of the same formula: 394 meV/atom

***

First-principles (meta-GGA SCAN) data for a PBEsol-optimized structure of Hg2MoP, as listed in the Alexandria database.

CIF file:
```
data_Hg2MoP
_symmetry_space_group_name_H-M 'C m m 2'
_symmetry_Int_Tables_number 35
_cell_length_a 3.290
_cell_length_b 4.627
_cell_length_c 10.286
_cell_angle_alpha 90.00
_cell_angle_beta 90.00
_cell_angle_gamma 90.00
loop_
_symmetry_equiv_pos_as_xyz
'x,y,z'
'-x,-y,z'
'-x,y,z'
'x,-y,z'
'x+1/2,y+1/2,z'
'-x+1/2,-y+1/2,z'
'-x+1/2,y+1/2,z'
'x+1/2,-y+1/2,z'
loop_
_atom_site_label
_atom_site_fract_x
_atom_site_fract_y
_atom_site_fract_z
Hg1 0.000 0.000 0.000
Hg2 0.000 0.500 0.297
Mo1 0.000 0.500 0.762
P1 0.000 0.000 0.596
```

Properties
* final energy: -3.3160 Ry per atom
* magnetic moment: 0.00 μB per formula unit
* distance to the lowest polymorph of the same formula: 0 meV/atom

***

First-principles (meta-GGA SCAN) data for a PBEsol-optimized structure of HgMoPb2, as listed in the Alexandria database.

CIF file:
```
data_HgMoPb2
_symmetry_space_group_name_H-M 'P 4/m m m'
_symmetry_Int_Tables_number 123
_symmetry_space_group_name_Hall '-P 4 2'
_cell_length_a 3.708
_cell_length_b 3.708
_cell_length_c 6.360
_cell_angle_alpha 90.00
_cell_angle_beta 90.00
_cell_angle_gamma 90.00
loop_
_atom_site_label
_atom_site_fract_x
_atom_site_fract_y
_atom_site_fract_z
Hg1 0.000 0.000 0.000
Mo1 0.000 0.000 0.500
Pb1 0.500 0.500 0.266
```

Properties
* final energy: -4.6355 Ry per atom

So, I asked the team to send me all their notes and I documented everything in a Confluence space. It was nice seeing the knowledge gathered by each team member over the years written down in a place where everyone could see it. Ticket requirements weren’t lost anymore in the sea of Slack messages and threads, and could be more formally discussed with the client using the comment system on Confluence. The most important thing here was that I didn’t put this burden on the team members. I took the time to write it all down and then asked the team for feedback. Of course, once this was set in place, I made a point to ask the team members to, from then on, document everything on Confluence. Every piece of written documentation would go into Confluence and then be triaged to the correct category.